Material =
Record 1
Here is C32H20DyF12N4O4 as an isolated structure from the OMol25 dataset. Energies are from ωB97M-V/def2-TZVPD.

The molecular weight comes out at 915.01 g/mol. Its spin multiplicity is 6. Its LUMO energy (alpha / beta) is 1.488 / 1.485 eV. Its charge is -1. For the orbital gap (alpha / beta), the calculation gives 0.1961 / 0.1966 Eh.

```
73
Properties=species:S:1:pos:R:3:forces:R:3
Dy -17.456 2.888 -10.182 -0.32 0.88 2.44
C -13.362 -2.721 -8.896 -0.29 -0.39 0.37
C -14.419 -1.647 -8.734 -0.14 -0.08 0.54
C -14.552 -0.939 -7.511 -0.84 -0.30 -1.33
C -15.537 0.031 -7.390 0.26 -0.60 -0.46
C -16.433 0.379 -8.433 0.45 0.18 -0.51
N -17.257 1.479 -8.307 -0.63 0.04 -0.32
C -17.788 1.908 -7.087 -0.01 -0.15 0.20
C -18.064 0.948 -6.064 0.32 0.60 -0.19
C -18.417 1.292 -4.766 -0.01 1.24 -0.35
C -18.592 2.640 -4.432 0.30 -0.11 -0.32
C -18.998 3.113 -3.046 -0.07 0.18 -0.06
C -18.421 3.578 -5.456 -0.55 -0.27 0.34
C -18.122 3.288 -6.785 0.40 -0.36 0.13
C -18.120 4.534 -7.743 0.47 0.19 0.22
O -19.666 3.220 -9.045 1.05 -0.13 -0.62
C -19.928 5.994 -7.010 -1.33 0.46 0.47
F -20.272 6.453 -5.765 0.84 -0.35 -0.74
F -20.826 4.952 -7.232 1.86 1.27 0.14
F -20.308 7.009 -7.852 0.85 -1.23 0.78
C -16.403 6.269 -8.987 -0.42 0.90 0.47
F -16.580 6.094 -10.319 -0.09 -0.25 0.41
F -15.146 6.783 -8.887 -0.25 -0.74 0.20
F -17.205 7.290 -8.607 0.05 -0.22 -0.21
C -16.254 -0.329 -9.699 0.62 -0.66 1.00
C -15.288 -1.349 -9.787 0.03 0.70 0.93
C -16.796 0.235 -10.997 0.22 -0.60 -0.83
O -16.305 1.517 -11.096 0.22 -1.15 -1.20
C -18.367 0.184 -11.057 -1.80 0.71 0.47
F -18.964 0.186 -9.866 0.34 -0.47 0.08
F -18.843 1.383 -11.610 0.29 -0.43 -0.49
F -18.965 -0.790 -11.747 0.78 0.04 -0.22
C -16.341 -0.478 -12.345 0.77 -0.72 -0.68
F -16.891 0.059 -13.465 -0.41 0.29 0.83
F -16.595 -1.810 -12.439 -0.33 0.38 0.45
F -15.020 -0.368 -12.553 0.03 0.30 0.50
H -12.826 -2.868 -7.935 -0.20 0.03 -0.62
H -13.822 -3.690 -9.184 0.27 0.44 0.19
H -12.641 -2.466 -9.676 0.05 0.02 0.09
H -13.932 -1.199 -6.659 0.15 0.17 -0.10
H -15.586 0.607 -6.491 -0.10 0.19 0.37
H -17.913 -0.094 -6.316 0.01 0.04 0.00
H -18.527 0.578 -3.976 -0.14 -0.64 0.10
H -18.933 2.310 -2.300 -0.01 0.11 -0.21
H -18.368 3.950 -2.688 -0.24 -0.37 -0.23
H -20.042 3.478 -3.058 0.41 -0.15 0.07
H -18.594 4.600 -5.159 0.04 0.14 -0.15
H -15.180 -1.886 -10.715 0.15 -0.08 0.02
O -18.571 5.711 -7.038 -2.62 0.29 0.09
C -19.103 4.349 -8.934 -0.99 0.10 -0.87
N -19.217 5.344 -9.782 0.53 -0.45 -1.21
C -19.805 5.360 -11.048 -2.76 0.81 1.66
O -20.939 5.846 -11.297 2.80 -1.06 0.59
C -18.993 4.899 -12.227 0.27 -0.93 -1.25
C -19.494 5.157 -13.507 -0.14 0.01 -0.06
C -18.762 4.837 -14.649 0.99 -0.25 1.14
C -17.476 4.271 -14.473 -0.81 0.40 0.65
C -17.080 3.966 -13.165 -0.82 -0.07 -0.35
N -17.870 4.167 -12.090 0.06 1.76 -1.13
C -16.583 4.948 -8.091 1.22 -0.13 -0.20
C -15.880 5.190 -6.761 0.28 0.00 0.70
C -14.804 4.497 -6.298 -1.74 0.10 -1.74
C -14.245 3.545 -7.224 0.96 -0.35 0.05
C -14.735 3.412 -8.494 -0.15 -0.13 1.38
N -15.927 3.924 -8.870 -0.19 0.51 -1.29
H -20.501 5.560 -13.549 0.28 0.22 -0.10
H -19.158 5.084 -15.619 -0.01 -0.14 -0.23
H -16.818 4.046 -15.302 -0.04 0.07 0.03
H -16.120 3.520 -12.944 -0.01 -0.25 -0.16
H -16.370 5.946 -6.188 -0.04 0.40 0.57
H -14.398 4.629 -5.298 -0.13 0.11 -0.26
H -13.446 2.908 -6.879 0.40 0.09 -0.28
H -14.198 2.815 -9.236 -0.40 -0.12 0.27
```
Forces are in eV/Å.

Record 2
Here is C32H26BrClN4O7ReS2 as an isolated structure from the OMol25 dataset. Energies are from ωB97M-V/def2-TZVPD.

The molecular weight comes out at 944.28 g/mol. As for the energy above the lowest of the compared OMol25 structures with the same formula, charge and spin: 51.4 kJ/mol. Its spin multiplicity is 4. Its LUMO energy (alpha / beta) is -1.016 / -1.484 eV. For the orbital gap (alpha / beta), the calculation gives 0.2754 / 0.2545 Eh.

```
74
Properties=species:S:1:pos:R:3:forces:R:3
Re 0.657 -0.239 -0.075 0.01 0.60 -0.68
C 2.250 -2.972 -3.040 0.04 0.02 -0.02
C 1.978 -1.868 -2.082 -0.05 -0.07 0.03
N 0.946 -1.845 -1.304 -0.01 0.32 0.09
To do =
Please reproduce every line further above that contains the word "forces".
Completed =
Properties=species:S:1:pos:R:3:forces:R:3
Properties=species:S:1:pos:R:3:forces:R:3